The Vikings were an influential presence in England for hundreds of years, but never did they hold more power than between 1013 and 1042, when the Danish Jelling Dynasty sat on the English throne. During this period of power struggles, instability and societal change, the four Viking kings of England left an indelible mark on the country’s history. From the audacious conquest of Sweyn Forkbeard, to the spiteful rule of Harthacnut, the story of England’s Danish kings is a tale of ambition, reform, opportunism and vengeance, without which Britain would not be the same today.
Sweyn Forkbeard: The First Viking King of England

Sweyn Forkbeard was born into a Denmark where change and expansion were ubiquitous. His father, Harold Bluetooth, was the first Viking ruler to embrace Christianity as his kingdom’s official religion, and also that kingdom to unseen heights. By the time Sweyn reached adulthood, his father’s lands stretched from German to Norway, with satellite states as far-afield as modern-day France and Lithuania.
But Sweyn was not the loyal son and heir that a Nordic king would hope for. Sweyn was a dedicated follower of the Norse faith and disagreed with his father’s efforts to spread Christianity in Denmark. In the mid-980s, Sweyn led the pagan mercenary Jomsvikings in an uprising against his father, ultimately seizing the throne for himself. Unfortunately, he did not get to enjoy his time as King of Denmark, being sent into exile by Bluetooth’s German allies. The next 14 years Sweyn spent primarily in Scotland, during which time Denmark was occupied by Sweden. Forkbeard returned to reclaim his land, before launching several naval campaigns to sure-up his territories in Norway.
In 1002, Sweyn turned his attention across the North Sea, where King Æthelred the Unready had recently ordered the massacre of thousands of Danes on English soil. In retaliation, the Danish king authorised 12 years of relentless raids on the English coast before invading the country altogether in 1013. Beginning in Sandwich, his army stormed through the south of England, arriving to besiege London and force King Æthelred to flee. Sweyn Forkbeard proclaimed himself King of England on Christmas Day 1013.
Despite being the first Viking king of England, Sweyn Forkbeard was also the shortest reigning, dying from apoplexy just five weeks after assuming the throne. Upon his death he split his kingdoms between his two sons, leaving the English crown to Cnut…
Cnut the Great: The Diplomat King

Between two parts of the entry: calculated crystals:
____________
Entry 1:
Computed, not measured: a relaxed structure of ZnCu2Mo at the PBE-GGA level of DFT.

Cell: 2.646 4.548 4.594 Å, 90.00 90.00 90.00°
Space group Pmmm (No. 47)
Symmetry-distinct sites (fractional):
Zn: 0.000 0.000 0.000 (multiplicity 1)
Cu: 0.000 0.500 0.500 (multiplicity 1)
Cu: 0.500 0.500 0.000 (multiplicity 1)
Mo: 0.500 0.000 0.500 (multiplicity 1)

- Raw total energy: -4.812 eV per atom
- D(E_F): 0.70 states/eV per atom

Entry 2:
Computed, not measured: a relaxed structure of ErTmRu at the PBE-GGA level of DFT.

Cell: 14.058 3.451 6.663 Å, 90.00 112.11 90.00°
Space group C2/m (No. 12)
Symmetry-distinct sites (fractional):
Er: 0.021 0.000 0.258 (multiplicity 4)
Tm: 0.218 0.500 0.757 (multiplicity 4)
Ru: 0.118 0.500 0.052 (multiplicity 4)

- Raw total energy: -6.407 eV per atom
- D(E_F): 0.72 states/eV per atom
- Excess energy over the best structure of this formula in the dataset: 0.29 eV/f.u.

Entry 3:
Computed, not measured: a relaxed structure of PrY6Pd3 at the PBE-GGA level of DFT.

Cell: 11.474 13.279 7.293 Å, 90.00 90.00 90.00°
Space group Cmc2_1 (No. 36)
Symmetry-distinct sites (fractional):
Pr: 0.000 0.185 0.000 (multiplicity 4)
Y: 0.000 0.269 0.478 (multiplicity 4)
Y: 0.000 0.469 0.124 (multiplicity 4)
Y: 0.170 0.040 0.629 (multiplicity 8)
Y: 0.227 0.308 0.781 (multiplicity 8)
Pd: 0.000 0.073 0.339 (multiplicity 4)
Pd: 0.188 0.398 0.416 (multiplicity 8)

- Raw total energy: -6.409 eV per atom
- D(E_F): 1.17 states/eV per atom

Entry 4:
Computed, not measured: a relaxed structure of CsRbTaCr2 at the PBE-GGA level of DFT.

Cell: 5.035 5.035 6.565 Å, 90.00 90.00 90.00°
Space group P4/mmm (No. 123)
Symmetry-distinct sites (fractional):
Cs: 0.000 0.000 0.000 (multiplicity 1)
Rb: 0.500 0.500 0.000 (multiplicity 1)
Ta: 0.500 0.500 0.500 (multiplicity 1)
Cr: 0.000 0.500 0.500 (multiplicity 2)

- Raw total energy: -5.097 eV per atom
- D(E_F): 1.14 states/eV per atom

~~~~~

Computed, not measured: an optimized crystal structure of BeNiAg2F6 at the PBE with a Hubbard U level of DFT.

Structure (CIF):
```
data_BeNiAg2F6
_space_group_name_H-M_alt 'P 1'
_space_group_IT_number 1
_cell_length_a 5.700
_cell_length_b 5.391
_cell_length_c 5.606
_cell_angle_alpha 73.77
_cell_angle_beta 57.54
_cell_angle_gamma 60.35
loop_
_space_group_symop_operation_xyz
'x,y,z'
loop_
_atom_site_label
_atom_site_fract_x
_atom_site_fract_y
_atom_site_fract_z
Be1 0.332 0.200 0.172
Ni1 0.815 0.825 0.544
Ag1 0.611 0.540 0.270
Ag2 0.055 0.082 0.835
F1 0.579 0.088 0.285
F2 0.115 0.034 0.344
F3 0.134 0.524 0.237
F4 0.515 0.675 0.682
F5 0.520 0.123 0.855
F6 0.985 0.571 0.791
```

Results
* total magnetic moment: 2.0 μB/f.u.
* space-group type: P1 (1)
* Fermi-level density of states: 0.00 states/eV per cell
* total DFT energy (no corrections): -42.74 eV per cell
____________

The English had never accepted Sweyn Forkbeard as their king and were not thrilled by the prospect of his son inheriting the throne. They invited Aethelred back to retake his crown, who arrived from Normandy with a formidable army ready to defeat Cnut in battle. Instead of fighting over the English throne, Cnut decided to return to Denmark.
Cnut’s homegoing was short lived. With his ambitions still firmling across the North Sea, in 1015 he launched a massive fleet of ten thousand Vikings in 200 longships to reconquer his lost kingdom. Over the next few months, Cnut’s men swept across England, devastating the local armies set to stop them. Chief among his victories was the Battle of Assandun in October 1016, at which Cnut defeated Aethered’s son Edmund Ironside and took all of England apart from Wessex. When Edmund died just a few weeks later, Cnut became king of Wessex too at the invitation of the English witan.
At first, Cnut ruled with an iron fist. He was intent on laying the foundations for a lasting dynasty of Danish kings in England, and thus set about taking estates from Englishmen and giving them to his loyal Viking followers. He had Edmund’s two sons exiled, and with them anyone who was deemed loyal to the old king.
Though he’s often unfairly remembered as a harsh and arrogant ruler, throughout his reign Cnut showed himself to be an excellent statesman and diplomat. He fostered close ties with other kingdoms in Europe through marriage and diplomacy, and brokered favourable deals allowing the English to trade and travel extensively throughout Europe. Unlike his father who had rejected Christianity, Cnut was also a generous patron to the Church and close ally to the Holy Roman Empire.
Harold Harefoot: The Unstable Regent

Cnut the Great’s succession was a complicated affair, as two of his sons, one legitimate and one illegitimate, had ambitions for the English throne. Cnut named his son Harthacnut as his heir. Harthacanute was legitimate and more widely accepted in England given his mother was the widow of Æthelred the Unready. However, he was in Denmark when his father died, and unable to take the English throne because otherwise engaged in holding back invading Norwegians.
Harold Harefoot, Cnut’s illegitimate son by his mistress Ælfgifu, decided that he would use his brother’s absence to stake his claim to the throne. The witenagemot in Oxford agreed to grant him the crown until his brother arrived, making him regent. He was crowned, like all English kings, by the Archbishop of Canterbury, however, the Archbishop refused to use the ceremonial regalia. In response, Harold said that he would not go to Church and would revert to the traditional Nordic faith until he was crowned properly.
Harold’s short rule was beset by instability and insubordination by the English noblemen, many of whom didn’t see him as the rightful king. He spent most of his reign fighting to secure his position on the throne: quashing rebellions and exiling or executing opponents to the crown. He had his stepmother, Emma of Normandy, first imprisoned and then exiled, and blinded and killed one of her sons by King Æthelred.
In 1040, Harold died in Oxford aged just 24. Though the cause of his death is unknown, it’s recorded by English monks who despised Harefoot that God finally punished him by striking him down with a sudden, painful illness.
Harthacnut: The Last Danish King of England

Though proclaimed the heir to the English throne, Harthacnut spent most of his childhood outside of England. His father had sent him to Denmark aged just eight years old to learn the arts of warfare and diplomacy. At the time, Cnut’s North Sea empire was the second largest in Europe, but it was at risk of collapse due to unending challenges and invasions by Norway and Sweden. When he died, Harthacnut chose to stay in Denmark rather than lay claim to the English crown, fearing that he might lose his empire’s heartland were he to leave.
Harthacnut was furious that Harold had stolen his crown, and his rage continued to grow as he watched Harefoot oppress his mother and kill his half-brother, Alfred. Harthacnut prepared to invade England. Having signed a treaty with Norway, he amassed an impressive naval fleet to overthrow his brother. Harold Harefoot died before Harthacnut set sail, but the Danish still chose to take his fleet to English to claim the throne, hoping that this display of power would quiet any noblemen who were loyal to his brother.
Harthacnut ascended the throne without resistance and was crowned in Canterbury Cathedral with the full ceremony. As king, his first order of business was to have Harold exhumed, beheaded and thrown in a river. He then went on to try any noblemen who had been complicit in Alfed’s murder. Though he’d been greeted at Sandwich as the rightful king, Harthacnut’s short reign proved unpopular. He didn’t trust his English earls so ruled tyrannically. His tax regime saw the English paying astronomical fees to their local lords, promoting riots in Worcester at which two tax collectors were killed. King Harthacnut’s reasonable response was to burn the city to the ground.
When Harthacnut died suddenly at a friend’s wedding (possibly by stroke, possibly by poison) he didn’t have any sons to inherit the throne. His Norman half-brother Edward the Confessor stepped up to take the crown, thus ending the Jelling Dynasty and becoming the last Danish king of England.